Indian Summer News: The Latest At Real Old Paper
Greetings, Friends! Believe it or not, it’s coming up on two years since we opened our little gallery in North Beach. As we begin the swing into Indian Summer, we thought it would be a good time to bring everyone up to date on the latest doings here at Real Old Paper.

The 'Lemon Lady', a favorite recent gallery acquisition by François Geo. | Photo: Joe Bonadio
First off, we’ve got an event coming up, and it’s sponsored by the fine people at San Francisco Art Institute. The title of the exhibit is 'de-contextualize', which has to do with the effect of removing elements from their normal context to reveal different levels of meaning and expression. Or something like that. I do know it’s going to be a great event, and it’s going off from 6-9 pm tomorrow, September 14th. See you there!

We’ve also got some very cool new acquisitions to show off. First off, we’ve ferreted out a completely unique piece, one that you can fit in the palm of your hand: a collection of twenty-five lithographs, each delicately hand-colored, depicting inhabitants of Naples from the early 1830s.

The renderings are bound into a leather book, likely to have been a portfolio of sorts that the artist used to show his work (as opposed to serving a formal advertising purpose). The book is the only one like it that we’ve ever owned, or even seen for that matter. We’ve run across other work by this artist, but never in this size, and this book may be the only one of its kind for sale in the world.
The lithographs represent the people one might encounter during a typical day in the Naples of that era: the vendor selling melon, the woman that changes your coins, the one that helps you with your bags. To keep things realistic, there is even a bandit in the mix–to relieve you of a few of those coins, presumably.

(Here the page breaks off for records of molecules)
<<<
Entry 1:
The following is a quantum chemistry calculation of a cluster of 2 separate species, C3H12N2OS in total at a distorted geometry, from the OMol25 dataset.

Each atom is followed by the atoms it is bonded to, with distances in Å.
Positions of all 19 atoms, in Å:
1 N 2.1811 0.4559 -1.9977  C2 1.442, H7 1.004, H8 1.002
2 C 1.1255 -0.1161 -1.1993  N1 1.442, C3 1.587, H9 1.107, H10 1.093
3 C -0.1787 0.7345 -0.8919  C2 1.587, N4 1.455, C5 1.501, H11 1.089
4 N -0.7954 1.3276 -2.0694  C3 1.455, H12 1.010, H13 1.017
5 C -1.0998 -0.0346 0.0096  C3 1.501, S6 1.876, H14 1.105, H15 1.078
6 S -1.0888 0.5475 1.7926  C5 1.876, H16 1.303
7 H 2.4480 1.4225 -2.0508  N1 1.004
8 H 2.9392 -0.1545 -2.2367  N1 1.002
9 H 1.5476 -0.3884 -0.2130  C2 1.107
10 H 0.8425 -1.1019 -1.5770  C2 1.093
11 H 0.3496 1.5568 -0.4126  C3 1.089
12 H -1.6650 0.9048 -2.3607  N4 1.010
13 H -0.1732 1.3438 -2.8733  N4 1.017
14 H -0.7804 -1.0926 -0.0142  C5 1.105
15 H -2.1376 0.0093 -0.2787  C5 1.078
16 H 0.1128 0.0991 2.0221  S6 1.303
17 O 0.5888 -2.6198 2.1825  H18 0.960, H19 0.968
18 H -0.1886 -3.0458 2.5510  O17 0.960
19 H 0.8762 -3.2950 1.5513  O17 0.968

LUMO: 0.62 eV
structure (SMILES): NC[C@@H](N)CS.O
DFT total energy: -19167.7109 eV
charge: 0
frontier orbital gap: 9.2817 eV
HOMO energy: -8.66 eV

Here are the natural (NBO) charges for atoms 1 to 2, given in e: -0.892 -0.206

***

Entry 2:
The following is a quantum chemistry calculation of a cluster of 2 separate species, C3H12N2OS in total at a distorted geometry, from the OMol25 dataset.

Each atom is followed by the atoms it is bonded to, with distances in Å.
Positions of all 19 atoms, in Å:
1 N 2.5568 -0.5618 -0.4905  C2 1.459, H7 1.015, H8 1.015
2 C 1.2466 -0.5704 -1.1313  N1 1.459, C3 1.545, H9 1.090, H10 1.097
3 C 0.1668 -0.4983 -0.0292  C2 1.545, N4 1.489, C5 1.524, H11 1.091
4 N 0.2936 -1.7368 0.7883  C3 1.489, H12 1.006, H13 1.010
5 C -1.2247 -0.3557 -0.6329  C3 1.524, S6 1.805, H14 1.088, H15 1.089
6 S -2.4963 -0.0065 0.5994  C5 1.805, H16 1.342
7 H 3.2910 -0.5867 -1.1902  N1 1.015
8 H 2.6922 -1.4475 -0.0137  N1 1.015
9 H 1.1327 0.3176 -1.7524  C2 1.090
10 H 1.1031 -1.5017 -1.6935  C2 1.097
11 H 0.5197 0.3318 0.5838  C3 1.091
12 H -0.4276 -2.3639 0.4737  N4 1.006
13 H 0.1856 -1.5269 1.7707  N4 1.010
14 H -1.1937 0.4755 -1.3345  C5 1.088
15 H -1.4213 -1.2657 -1.1988  C5 1.089
16 H -2.4713 1.3205 0.4000  S6 1.342
17 O 1.5139 3.0062 0.2703  H18 0.950, H19 0.952
18 H 2.4176 3.0466 0.5609  O17 0.950
19 H 1.4891 3.6918 -0.3901  O17 0.952

LUMO: 0.76 eV
structure (SMILES): NC[C@H](N)CS.O
DFT total energy: -19168.3330 eV
charge: 0
frontier orbital gap: 9.5812 eV
HOMO energy: -8.82 eV

Here are the natural (NBO) charges for atoms 1 to 2, given in e: -0.836 -0.215

***

Entry 3:
The following is a quantum chemistry calculation of a cluster of 2 separate species, C3H12N2OS in total at a distorted geometry, from the OMol25 dataset.

Each atom is followed by the atoms it is bonded to, with distances in Å.
>>>
(End of the records of molecules)

On an entirely different scale, the gallery has made another sweet acquisition: Mucha’s long-celebrated La Dame aux Camélias, dated 1896. The grand six-foot-tall poster depicts Sarah Bernhardt playing the role of Camélia, a courtesan who, facing death, must release her lover from his promise of marriage.
The original story was written by Alexandre Dumas, and Bernhardt, the premiere actress of her time, considered La Dame to be her signature role; she reportedly performed the piece more than a thousand times. Mucha’s elegant composition captures the tragedy’s depth of sorrow perfectly. Bernhardt’s stricken character gathers her scarf wearily about her neck, backgrounded by a field of silver stars, a white Camelia in her auburn hair. The poster was one of the actress’ favorites; come by the gallery, and you can see why.

It has been a very busy month in the gallery, and as the air continues to warm and the fog begins to clear, we’re looking forward to an even busier Fall. We’ll be back here soon with more news, including more cool events, and lots of beautiful new posters to check out. The lineup in the gallery changes constantly, so make sure to come by often to see what’s hanging.
And remember to follow our instagram feed: Cheers!